### Source
The following is a DFT calculation (wB97M-V/def2-TZVPD) of a structure of composition C28H43F9OP2Pr at a distorted geometry.

XYZ file:
```
84
Properties=species:S:1:pos:R:3:forces:R:3
Pr -1.617 -1.167 -0.478 -2.682 0.059 -0.458
C -4.069 -0.178 0.389 0.662 -0.361 -0.640
C -3.787 0.788 -0.619 0.262 -0.606 0.019
C -4.066 -1.263 -1.657 0.464 0.912 0.926
C -4.251 -1.451 -0.249 0.679 0.823 -0.532
C -3.795 0.129 -1.878 0.525 -0.799 0.566
C -4.041 0.057 1.865 -0.265 0.126 0.450
H -3.599 1.034 2.117 -0.177 -0.317 -0.092
H -3.463 -0.715 2.403 -0.219 0.178 -0.095
H -5.063 0.041 2.277 0.355 0.002 0.043
C -4.427 -2.767 0.426 -0.187 -0.462 0.342
H -4.147 -2.713 1.492 -0.139 -0.082 -0.342
H -3.820 -3.562 -0.042 -0.273 0.249 0.162
H -5.477 -3.093 0.380 0.262 -0.025 0.077
C -4.040 -2.335 -2.684 -0.208 -0.457 -0.478
H -5.060 -2.700 -2.885 0.315 -0.015 -0.066
H -3.444 -3.212 -2.377 -0.196 0.189 -0.040
H -3.622 -1.971 -3.633 -0.173 -0.118 0.206
C -3.542 0.764 -3.204 -0.080 0.323 -0.465
H -4.489 0.939 -3.743 0.368 -0.025 0.097
H -2.908 0.135 -3.848 -0.217 0.143 0.079
H -3.037 1.738 -3.101 -0.209 -0.313 -0.028
C -3.526 2.248 -0.416 0.006 0.311 0.035
H -4.434 2.854 -0.574 0.287 -0.174 0.085
H -2.766 2.611 -1.123 -0.188 -0.013 0.188
H -3.159 2.449 0.599 -0.119 0.041 -0.234
C 4.031 2.029 3.084 -0.440 0.066 0.416
C 3.161 2.963 3.493 0.550 -0.364 0.303
C 3.248 4.438 3.230 -0.085 0.328 -0.359
C 3.994 4.870 1.942 -0.060 0.504 0.391
C 3.516 4.212 0.681 -0.061 -0.152 -0.485
C 3.934 3.055 0.157 0.025 0.573 -0.227
C 4.988 2.141 0.705 0.137 -0.192 0.329
C 5.247 2.232 2.230 0.535 -0.302 -0.305
H 3.740 4.947 4.076 -0.199 -0.221 -0.107
H 5.075 4.765 2.086 -0.407 0.156 -0.175
H 2.225 4.845 3.196 0.210 -0.066 0.003
H 5.776 3.164 2.457 -0.166 -0.452 0.054
H 3.925 0.999 3.448 -0.286 0.353 -0.126
H 2.363 2.684 4.192 0.284 -0.091 -0.247
H 5.942 1.412 2.472 -0.060 0.315 -0.060
H 4.715 1.103 0.456 0.080 0.195 0.036
H 3.547 2.751 -0.825 0.054 0.241 0.314
H 5.945 2.329 0.192 -0.259 -0.064 0.026
H 3.799 5.947 1.821 0.202 -0.240 0.110
H 2.789 4.820 0.127 0.135 -0.451 0.061
P 0.140 0.477 1.090 0.823 -0.356 0.536
P 0.237 0.225 -2.241 0.346 -0.060 -0.142
C 1.760 0.622 0.193 0.018 0.410 -0.077
C 1.801 0.038 -1.238 -0.139 -0.183 -0.402
H 2.532 0.125 0.801 -0.232 0.252 -0.111
H 2.018 1.692 0.171 -0.134 -0.354 0.056
H 2.572 0.538 -1.846 0.041 -0.250 0.348
H 2.047 -1.041 -1.210 -0.138 0.375 -0.053
C 0.528 -0.748 -3.756 0.192 -0.228 -0.142
H -0.305 -0.574 -4.455 0.220 -0.034 0.241
H 0.595 -1.826 -3.555 0.006 0.320 -0.046
H 1.455 -0.407 -4.231 -0.123 -0.163 -0.007
C 0.377 1.896 -2.928 -0.196 0.418 0.124
H 1.394 2.026 -3.315 -0.154 0.085 0.011
H 0.175 2.648 -2.154 0.076 -0.098 -0.270
H -0.341 2.024 -3.753 0.209 -0.027 0.340
C 0.558 -0.786 2.365 -0.208 -0.143 0.316
H -0.367 -1.099 2.876 0.316 0.079 -0.050
H 1.220 -0.318 3.109 -0.102 -0.224 -0.178
H 1.037 -1.693 1.961 -0.180 0.442 -0.002
C -0.082 1.948 2.126 -0.153 0.575 0.028
H -0.436 2.787 1.508 0.102 -0.211 0.202
H 0.843 2.249 2.638 -0.198 -0.202 -0.223
H -0.856 1.733 2.881 0.247 0.022 -0.301
F 1.765 -3.557 0.597 -0.489 -0.731 0.053
C 0.894 -4.606 0.651 0.963 -0.157 0.809
F 1.583 -5.742 0.388 -0.492 1.082 0.306
F 0.435 -4.663 1.923 0.445 0.032 -0.928
C -0.263 -4.374 -0.343 -0.224 0.431 0.391
O -0.817 -3.129 -0.111 0.767 -1.095 -0.423
C 0.276 -4.497 -1.790 0.356 -0.108 -1.278
F 0.652 -5.752 -2.127 -0.427 1.352 0.263
F -0.682 -4.085 -2.674 0.767 -0.261 0.654
F 1.350 -3.673 -1.987 -0.845 -0.591 0.189
C -1.332 -5.462 -0.108 -1.214 -0.877 0.204
F -0.835 -6.717 -0.214 -0.559 1.081 0.143
F -1.895 -5.327 1.117 0.412 -0.122 -0.970
F -2.344 -5.320 -1.015 0.858 -0.204 0.630
```
Forces are in eV/Å.

Charge ... +1
Largest force on an atom ... 2.72 eV Å⁻¹
⟨S²⟩ ... 2.0048
HOMO energy (alpha / beta) ... -10.7 / -10.6 eV
Multiplicity ... 3

=====

The following is a DFT calculation (wB97M-V/def2-TZVPD) of a cluster of 7 separate species, C28H43N7 in total at a distorted geometry.

XYZ file:
```
78
Properties=species:S:1:pos:R:3:forces:R:3

### To do
Next, echo everything further up exactly.

### Response
The following is a DFT calculation (wB97M-V/def2-TZVPD) of a structure of composition C28H43F9OP2Pr at a distorted geometry.

XYZ file:
```
84
Properties=species:S:1:pos:R:3:forces:R:3
Pr -1.617 -1.167 -0.478 -2.682 0.059 -0.458
C -4.069 -0.178 0.389 0.662 -0.361 -0.640
C -3.787 0.788 -0.619 0.262 -0.606 0.019
C -4.066 -1.263 -1.657 0.464 0.912 0.926
C -4.251 -1.451 -0.249 0.679 0.823 -0.532
C -3.795 0.129 -1.878 0.525 -0.799 0.566
C -4.041 0.057 1.865 -0.265 0.126 0.450
H -3.599 1.034 2.117 -0.177 -0.317 -0.092
H -3.463 -0.715 2.403 -0.219 0.178 -0.095
H -5.063 0.041 2.277 0.355 0.002 0.043
C -4.427 -2.767 0.426 -0.187 -0.462 0.342
H -4.147 -2.713 1.492 -0.139 -0.082 -0.342
H -3.820 -3.562 -0.042 -0.273 0.249 0.162
H -5.477 -3.093 0.380 0.262 -0.025 0.077
C -4.040 -2.335 -2.684 -0.208 -0.457 -0.478
H -5.060 -2.700 -2.885 0.315 -0.015 -0.066
H -3.444 -3.212 -2.377 -0.196 0.189 -0.040
H -3.622 -1.971 -3.633 -0.173 -0.118 0.206
C -3.542 0.764 -3.204 -0.080 0.323 -0.465
H -4.489 0.939 -3.743 0.368 -0.025 0.097
H -2.908 0.135 -3.848 -0.217 0.143 0.079
H -3.037 1.738 -3.101 -0.209 -0.313 -0.028
C -3.526 2.248 -0.416 0.006 0.311 0.035
H -4.434 2.854 -0.574 0.287 -0.174 0.085
H -2.766 2.611 -1.123 -0.188 -0.013 0.188
H -3.159 2.449 0.599 -0.119 0.041 -0.234
C 4.031 2.029 3.084 -0.440 0.066 0.416
C 3.161 2.963 3.493 0.550 -0.364 0.303
C 3.248 4.438 3.230 -0.085 0.328 -0.359
C 3.994 4.870 1.942 -0.060 0.504 0.391
C 3.516 4.212 0.681 -0.061 -0.152 -0.485
C 3.934 3.055 0.157 0.025 0.573 -0.227
C 4.988 2.141 0.705 0.137 -0.192 0.329
C 5.247 2.232 2.230 0.535 -0.302 -0.305
H 3.740 4.947 4.076 -0.199 -0.221 -0.107
H 5.075 4.765 2.086 -0.407 0.156 -0.175
H 2.225 4.845 3.196 0.210 -0.066 0.003
H 5.776 3.164 2.457 -0.166 -0.452 0.054
H 3.925 0.999 3.448 -0.286 0.353 -0.126
H 2.363 2.684 4.192 0.284 -0.091 -0.247
H 5.942 1.412 2.472 -0.060 0.315 -0.060
H 4.715 1.103 0.456 0.080 0.195 0.036
H 3.547 2.751 -0.825 0.054 0.241 0.314
H 5.945 2.329 0.192 -0.259 -0.064 0.026
H 3.799 5.947 1.821 0.202 -0.240 0.110
H 2.789 4.820 0.127 0.135 -0.451 0.061
P 0.140 0.477 1.090 0.823 -0.356 0.536
P 0.237 0.225 -2.241 0.346 -0.060 -0.142
C 1.760 0.622 0.193 0.018 0.410 -0.077
C 1.801 0.038 -1.238 -0.139 -0.183 -0.402
H 2.532 0.125 0.801 -0.232 0.252 -0.111
H 2.018 1.692 0.171 -0.134 -0.354 0.056
H 2.572 0.538 -1.846 0.041 -0.250 0.348
H 2.047 -1.041 -1.210 -0.138 0.375 -0.053
C 0.528 -0.748 -3.756 0.192 -0.228 -0.142
H -0.305 -0.574 -4.455 0.220 -0.034 0.241
H 0.595 -1.826 -3.555 0.006 0.320 -0.046
H 1.455 -0.407 -4.231 -0.123 -0.163 -0.007
C 0.377 1.896 -2.928 -0.196 0.418 0.124
H 1.394 2.026 -3.315 -0.154 0.085 0.011
H 0.175 2.648 -2.154 0.076 -0.098 -0.270
H -0.341 2.024 -3.753 0.209 -0.027 0.340
C 0.558 -0.786 2.365 -0.208 -0.143 0.316
H -0.367 -1.099 2.876 0.316 0.079 -0.050
H 1.220 -0.318 3.109 -0.102 -0.224 -0.178
H 1.037 -1.693 1.961 -0.180 0.442 -0.002
C -0.082 1.948 2.126 -0.153 0.575 0.028
H -0.436 2.787 1.508 0.102 -0.211 0.202
H 0.843 2.249 2.638 -0.198 -0.202 -0.223
H -0.856 1.733 2.881 0.247 0.022 -0.301
F 1.765 -3.557 0.597 -0.489 -0.731 0.053
C 0.894 -4.606 0.651 0.963 -0.157 0.809
F 1.583 -5.742 0.388 -0.492 1.082 0.306
F 0.435 -4.663 1.923 0.445 0.032 -0.928
C -0.263 -4.374 -0.343 -0.224 0.431 0.391
O -0.817 -3.129 -0.111 0.767 -1.095 -0.423
C 0.276 -4.497 -1.790 0.356 -0.108 -1.278
F 0.652 -5.752 -2.127 -0.427 1.352 0.263
F -0.682 -4.085 -2.674 0.767 -0.261 0.654
F 1.350 -3.673 -1.987 -0.845 -0.591 0.189
C -1.332 -5.462 -0.108 -1.214 -0.877 0.204
F -0.835 -6.717 -0.214 -0.559 1.081 0.143
F -1.895 -5.327 1.117 0.412 -0.122 -0.970
F -2.344 -5.320 -1.015 0.858 -0.204 0.630
```
Forces are in eV/Å.

Charge ... +1
Largest force on an atom ... 2.72 eV Å⁻¹
⟨S²⟩ ... 2.0048
HOMO energy (alpha / beta) ... -10.7 / -10.6 eV
Multiplicity ... 3

=====

The following is a DFT calculation (wB97M-V/def2-TZVPD) of a cluster of 7 separate species, C28H43N7 in total at a distorted geometry.

XYZ file:
```
78
Properties=species:S:1:pos:R:3:forces:R:3